When Jesus called the first disciples, He called them to leave everything and follow Him. In other words, He asked them to put their faith in Him. But they didn’t simply say they believed. They didn’t pull one bumper sticker off their boat and replace it with another. They left the boat behind. On the foundation of their faith, they stepped forward in obedience. What does it mean to follow Jesus? It means not only to call Him “Lord” but also to honor Him as Lord by obeying His commands.
If you talk to people about spiritual things and the truths of the Gospel, many conversations will end like this: “So long as you have faith, that’s all that matters,” or “So long as you’re sincere, that’s what really counts.” That certainly sounds good, and on the surface it may seem biblical—but it isn’t true. There is a further question that needs to be asked: “Faith in what? Sincerely regarding what?” Some people have faith in having faith. Some people sincerely believe lies. Faith and sincerity on their own count for nothing. It is God in Jesus Christ who saves, by grace, through faith in Him (Eph. 2:8). There is no internal disposition that secures salvation for us, no set of words that God treats as a ticket to heaven. Christ saves those who trust Him—and those who trust Him follow Him.
In Luke 6:43–49, at the conclusion of His Sermon on the Plain, the Lord Jesus speaks with great clarity to the kind of people who have adopted a false optimism, and He speaks with the authority which is only His as Lord. With a convicting question and a revealing illustration, Jesus teaches us that to follow Him in faith means to obey His commands. It is one thing to call Him Lord; it is another to submit to His lordship. To be a Christian is to do both.
But before we turn to Jesus’ question and illustration, we must clear up a misconception about the faith that Jesus seeks.
Someone pasted calculated crystals at this point
# 1
Here is a geometry-optimized UHBr3 structure from Alexandria via LeMat-Bulk. Energies are from GGA-PBE.

Lattice parameters (Å, degrees): 3.941 10.231 7.030 92.36 90.00 90.00
Atoms (fractional coordinates):
U 0.250 0.723 0.051
U 0.750 0.277 0.949
H 0.750 0.277 0.668
H 0.250 0.723 0.332
Br 0.750 0.545 0.209
Br 0.250 0.250 0.250
Br 0.750 0.903 0.213
Br 0.250 0.455 0.791
Br 0.250 0.097 0.787
Br 0.750 0.750 0.750

## Properties
distance to the lowest polymorph of the same formula	8.2	kJ/mol of atoms

# 2
Here is a geometry-optimized UH2Br4 structure from Alexandria via LeMat-Bulk. Energies are from GGA-PBE.

Lattice parameters (Å, degrees): 4.247 6.781 8.938 67.58 90.00 90.00
Atoms (fractional coordinates):
U 0.000 0.929 0.000
H 0.500 0.679 0.512
H 0.500 0.178 0.488
Br 0.500 0.224 0.852
Br 0.000 0.809 0.748
Br 0.500 0.633 0.148
Br 0.000 0.048 0.252

Calculated Fermi-level density of states, 14.06, 1.78 states/eV/cell (same order as the records).
Calculated calculated total energy, -23.824, -26.601 eV per formula unit (same order as the records).

* * * * *

Record 1
Below is an optimized crystal structure of Pm2Pr2Dy5, with properties calculated at the PBE level.

Output
Total magnetization   0.0 μB/cell
Symmetry   C2/m (12)
Calculated formation energy   232 meV per atom

Cell: 3.511 8.352 12.626 Å, 120.92 97.99 90.00°
Fractional coordinates of all 9 atoms:
1 Dy 0.000 0.000 0.000
2 Pr 0.815 0.774 0.629
3 Dy 0.690 0.855 0.380
4 Pm 0.454 0.263 0.907
5 Dy 0.900 0.540 0.800
6 Pr 0.185 0.226 0.371
7 Pm 0.546 0.737 0.093
8 Dy 0.310 0.145 0.620
9 Dy 0.100 0.460 0.200

---

Record 2
Below is an optimized crystal structure of Na8CdAu3, with properties calculated at the PBE level.

Output
Total magnetization   0.0 μB/cell
Symmetry   Fmmm (69)
Calculated formation energy   -131 meV per atom

Cell: 8.693 8.744 8.693 Å, 48.25 109.84 131.75°
Fractional coordinates of all 12 atoms:
1 Na 0.128 0.000 0.390
2 Na 0.610 0.000 0.872
3 Au 0.500 0.000 0.500
4 Na 0.131 0.517 0.869
5 Na 0.871 0.000 0.610
6 Au 0.750 0.500 0.750
7 Na 0.386 0.517 0.614
8 Na 0.390 0.000 0.129
9 Au 0.250 0.500 0.250
10 Na 0.613 0.483 0.387
11 Na 0.870 0.483 0.130
12 Cd 0.000 0.000 0.000

---

Record 3
Below is an optimized crystal structure of La9Nd4Ho, with properties calculated at the PBE level.

Output
Total magnetization   0.0 μB/cell
Symmetry   P6_3/mmc (194)
Calculated formation energy   141 meV per atom

Cell: 11.654 10.099 10.099 Å, 120.00 90.00 90.00°
Fractional coordinates of all 28 atoms:
1 Ho 0.250 0.667 0.333
2 La 0.531 0.207 0.414
3 La 0.969 0.586 0.793
4 Nd 0.750 0.886 0.114
5 La 0.750 0.921 0.460
6 La 0.250 0.079 0.540
7 Ho 0.750 0.333 0.667
8 Nd 0.000 0.000 0.000
9 La 0.969 0.207 0.793
10 Nd 0.500 0.000 0.000
11 Nd 0.250 0.114 0.227
12 La 0.031 0.414 0.207
13 Nd 0.250 0.114 0.886
14 La 0.969 0.207 0.414
15 La 0.469 0.793 0.586
16 La 0.750 0.540 0.460
17 La 0.250 0.460 0.540
18 Nd 0.750 0.227 0.114
19 Nd 0.250 0.773 0.886
20 La 0.031 0.793 0.207
21 La 0.469 0.414 0.207
Back to the piece
The Faith That Jesus Seeks
“No good tree bears bad fruit, nor again does a bad tree bear good fruit, for each tree is known by its own fruit. For figs are not gathered from thornbushes, nor are grapes picked from a bramble bush. The good person out of the good treasure of his heart produces good, and the evil person out of his evil treasure produces evil, for out of the abundance of the heart his mouth speaks.” (Luke 6:43–45)
• Someone pasted materials data at this point:
- - -
Entry from Alexandria: Nb2Fe4O9 after structural relaxation (GGA+U).

Cell lengths 5.3146, 5.3146, 14.4213 Å; angles 90.41, 90.41, 59.95 degrees
With the nearest neighbours (Å) after each atom.
Fractional coordinates of all 30 atoms:
Nb 0.0016 0.9885 0.6426  4 O 1.92-2.13
Nb 0.0115 0.9984 0.8574  4 O 1.92-2.13
Nb 0.9885 0.0016 0.1426  4 O 1.92-2.13
Nb 0.9984 0.0115 0.3574  4 O 1.92-2.13
Fe 0.3248 0.3405 0.3076  4 O 2.04-2.24
Fe 0.3296 0.3356 0.5147  6 O 2.07-2.26
Fe 0.3356 0.3296 0.0147  6 O 2.07-2.26
Fe 0.3405 0.3248 0.8076  4 O 2.04-2.24
Fe 0.6595 0.6752 0.1924  4 O 2.04-2.24
Fe 0.6644 0.6704 0.9853  6 O 2.07-2.26
Fe 0.6704 0.6644 0.4853  6 O 2.07-2.26
Fe 0.6752 0.6595 0.6924  4 O 2.04-2.24
O 0.0178 0.6990 0.7512  2 Fe 2.04-2.11, 2 Nb 2.17-2.19
O 0.0244 0.6686 0.4110  1 Nb 1.92
O 0.0395 0.3091 0.9179  1 Nb 1.93, 1 Fe 2.14
O 0.2679 0.7321 0.2500  2 Fe 2.12, 2 Nb 2.13
O 0.3010 0.9822 0.7488  2 Fe 2.04-2.11, 2 Nb 2.17-2.19
O 0.3091 0.0395 0.4179  1 Nb 1.93, 1 Fe 2.14
O 0.3275 0.6615 0.9160  1 Nb 1.93, 1 Fe 2.07
O 0.3314 0.9756 0.0890  1 Nb 1.92
O 0.3385 0.6725 0.5840  1 Nb 1.93, 1 Fe 2.07
O 0.6615 0.3275 0.4160  1 Nb 1.93, 1 Fe 2.07
O 0.6686 0.0244 0.9110  1 Nb 1.92
O 0.6725 0.3385 0.0840  1 Nb 1.93, 1 Fe 2.07
O 0.6909 0.9605 0.5821  1 Nb 1.93, 1 Fe 2.14
O 0.6990 0.0178 0.2512  2 Fe 2.04-2.11, 2 Nb 2.17-2.19
O 0.7321 0.2679 0.7500  2 Fe 2.12, 2 Nb 2.13
O 0.9605 0.6909 0.0821  1 Nb 1.93, 1 Fe 2.14
O 0.9756 0.3314 0.5890  1 Nb 1.92
O 0.9822 0.3010 0.2488  2 Fe 2.04-2.11, 2 Nb 2.17-2.19

Values from the calculation:
- D(E_F) (states/eV/atom) = 0.00
- total energy (eV/atom) = -7.7771


Entry 1:
Density functional theory data (PBE) for MnRe2HPt after structural relaxation.

abc: 3.8780 3.8780 3.9484
angles: 90.00 90.00 90.00
Sites, in units of the cell vectors:
1 Re 0.0000 0.5000 0.0000
2 Re 0.5000 0.0000 0.0000
3 Mn 0.0000 0.0000 0.5000
4 Pt 0.5000 0.5000 0.5000
5 H 0.0000 0.0000 0.0000

---

Entry 2:
Density functional theory data (PBE) for MgCuSb after structural relaxation.

abc: 4.9420 4.9420 5.7414
angles: 90.00 90.00 120.00
Sites, in units of the cell vectors:
1 Sb 0.3333 0.6667 0.7500
2 Sb 0.6667 0.3333 0.2500
3 Mg 0.3333 0.6667 0.2500
4 Mg 0.6667 0.3333 0.7500
5 Cu 0.0000 0.0000 0.0000
6 Cu 0.0000 0.0000 0.5000

* formation energy without anion corrections: 2.4 kcal/mol of atoms

---

Entry 3:
Density functional theory data (PBE) for In3Bi2S7 after structural relaxation.

abc: 7.1626 6.9717 12.7439
angles: 105.87 90.00 90.00
Sites, in units of the cell vectors:
1 In 0.7670 0.7069 0.0000
2 In 0.2670 0.2931 0.0000
3 In 0.8208 0.9448 0.3928
4 In 0.3208 0.0552 0.6072
5 In 0.8208 0.5521 0.6072
6 In 0.3208 0.4479 0.3928
7 Bi 0.7534 0.1416 0.7835
8 Bi 0.2534 0.8584 0.2165
9 Bi 0.2534 0.6419 0.7835
10 Bi 0.7534 0.3581 0.2165
11 S 0.6779 0.3119 0.4211
12 S 0.1779 0.6881 0.5789
13 S 0.1779 0.1092 0.4211
14 S 0.6779 0.8908 0.5789
15 S 0.0390 0.6125 0.3151
16 S 0.5390 0.3875 0.6849
17 S 0.5390 0.7026 0.3151
18 S 0.0390 0.2974 0.6849
- - -
Many Christians know that it is faith alone that saves. This is a wonderful truth to grasp, but it will do a person no good if they misunderstand what faith actually is.
Faith is not the intellectual acceptance of certain propositions about Jesus. It includes the acceptance of propositions, to be sure—but that in and of itself is not saving faith. James 2:19 tells us that “even the demons believe” that there is one God. The devil is orthodox in what he knows to be true about God, but he has not entrusted himself to God. What we need is not simply to assent to the truth about Jesus; we need also to consent to take Christ.
To follow Jesus in faith means to obey His commands. It is one thing to call Him Lord; it is another to submit to His lordship. To be a Christian is to do both.
Saving faith is the entrustment of our lives to Jesus as Lord and Savior. It is not simply the belief that we have been saved, nor is it merely the belief that Christ died for us, but it is the commitment of ourselves as unsaved, lost, helpless, and undone people unto Christ. It is trusting that Jesus Himself redeems and, by His Holy Spirit, brings the dead to life, seals us, and sanctifies us. It is the realization that the power to save belongs to God, and it is the humble seeking of that transforming power in our lives. And it involves the expectation of a radically different life, not simply in an abstract, legal, promissory sense but also in the immediacy of a restored relationship with God.
John Calvin, who helped the church to recover the doctrine of salvation by faith alone during the Reformation, put it like this: it is faith alone that saves, but the faith that saves is not alone. True faith always overflows in obedience. As noted above, this is what Jesus Himself said: “The good person out of the good treasure of his heart produces good, and the evil person out of his evil treasure produces evil” (Luke 6:45). In other words, the content of the heart overflows with action, and that action reveals the content of the heart. God’s people are those who have thrown themselves onto Christ through faith and have been transformed by God’s Holy Spirit. Such people are, in their hearts, rooted in Christ through faith and will therefore overflow in obedience to Him—not perfect obedience but the kind of striving that marks repentant sinners-made-saints.
Obedience thus springs from faith, not the other way around. Yet true faith is always followed by obedience.
The Question Jesus Asks
“Why do you call me ‘Lord, Lord,’ and not do what I tell you?” (Luke 6:46)
Jesus’ question in Luke 6:46 is rhetorical. When He asked it, He wasn’t looking for an explanation; He was demanding repentance. He was essentially saying, You think you understand what it means to follow Me, but your life says you don’t. If you were really following Me, you would do what I command. (See John 14:15; 15:14; 1 John 2:3; 5:3.) Words are no substitute for obedience. Both then and today, the people who have truly made Christ their Lord obey His commands.
Paul tells us in Romans 10:9 that people are saved who confess that “Jesus is Lord.” In our culture of equity, we are in danger of losing our concept of that word “Lord.” The Greek word it translates, kyrios, was what slaves used to address their masters, and it’s what all Roman citizens called the emperor. The relationship between the master and the slave was not casual. The relationship of the emperor to his people was not casual. These were relations of complete authority and sovereign rule. When someone said, “This is my lord,” they were saying, “This is the one I will obey.”
“Jesus is Lord” is a pledge of obedience. So Jesus asks, Why do you pledge to obey and then refuse to obey? Why don’t your actions live up to your words? He is directing this question to those who have made their declaration of faith, but there’s no change in their life, inside or out. The implicit answer is that such a person has not really made Jesus their Lord. When the pledge of obedience that “Jesus is Lord” is not followed by actual obedience to His commands, it reveals a heart that is not resting on Him, despite the declarations of the lips—because faith that is rooted in and founded upon Jesus Christ ought to overflow in obedience.
The Illustration Jesus Uses
“Everyone who comes to me and hears my words and does them, I will show you what he is like: he is like a man building a house, who dug deep and laid the foundation on the rock. And when a flood arose, the stream broke against that house and could not shake it, because it had been well built. But the one who hears and does not do them is like a man who built a house on the ground without a foundation. When the stream broke against it, immediately it fell, and the ruin of that house was great.” (Luke 6:47–49)
In this short parable, Jesus tells us about two builders. Both represent those who hear Jesus’ words. Both are building houses. Both are in danger of a torrent that is about to strike the houses. But only one of the two men is prepared for the torrent to come—the one who built his house upon a solid foundation.
The first builder represents those who not only hear Jesus’ words but also do them. He is everyone who comes to Christ, receives His Word, and lives their life on the strength of it—those who have put their faith and trust in the Lord Jesus Christ alone. They have understood that they need to go down to solid rock, and that rock is Jesus. And when the days of testing come, as they surely will, the lives of those who have set their faith on the rock of Jesus Christ will stand in the midst of the torrent.
Obedience springs from faith, not the other way around. Yet true faith is always followed by obedience.
Yet among those who hear the Word of God, there will always be some like the second builder as well. This man represents those who say, “Lord, Lord,” but in their heart of hearts, it is not Christ that they trust. Their hearts do not yet overflow in obedience to the Lord they confess, because their faith is not truly resting on Him. And when the flood comes, they are guaranteed to be swept away.
The good news is that for people like the second builder, it is not yet too late. There is still time to say, “Lord, I am helpless and needy, and I cannot save myself. I set myself upon You in trust that You will save me. And because I have put my trust in You, I will obey.” Apart from trust in the solid rock of Jesus Christ and the obedience that springs from it, the temptations and hardships of life sooner or later will prove too much to bear, and all facades of false “faith” will collapse. If we would confess Jesus Christ, then we must be prepared to ask ourselves: “Am I ready to follow Christ in true faith, so as to obey Him?”
This article was adapted from the sermons “If Anyone Would Come after Me, He Must… Practice What He Hears” and “False Faith” by Alistair Begg.